== Job ==
Could you reproduce only the lines underneath with the word "Pt" in them?

== Entries ==
-- begin --
1.
Compound: HoAl10Fe2
Source: the Materials Project
Functional: PBE
Structure: optimized geometry

Cell: 6.753 6.753 8.963 Å, 90.00 90.00 97.22°
Sites, in units of the cell vectors:
Ho (0.125, 0.875, 0.750)
Ho (0.875, 0.125, 0.250)
Al (0.134, 0.415, 0.750)
Al (0.157, 0.843, 0.097)
Al (0.157, 0.843, 0.403)
Al (0.221, 0.477, 0.250)
Al (0.227, 0.227, 0.000)
Al (0.227, 0.227, 0.500)
Al (0.374, 0.626, 0.548)
Al (0.374, 0.626, 0.952)
Al (0.415, 0.134, 0.250)
Al (0.477, 0.221, 0.750)
Al (0.523, 0.779, 0.250)
Al (0.585, 0.866, 0.750)
Al (0.626, 0.374, 0.048)
Al (0.626, 0.374, 0.452)
Al (0.773, 0.773, 0.000)
Al (0.773, 0.773, 0.500)
Al (0.779, 0.523, 0.750)
Al (0.843, 0.157, 0.597)
Al (0.843, 0.157, 0.903)
Al (0.866, 0.585, 0.250)
Fe (0.000, 0.500, 0.000)
Fe (0.000, 0.500, 0.500)
Fe (0.500, 0.000, 0.000)
Fe (0.500, 0.000, 0.500)

Summary:
- Energy relative to the elements: -0.3541 eV per atom

2.
Compound: SmPt2
Source: the Materials Project
Functional: PBE
Structure: optimized geometry

Cell: 5.492 5.492 5.492 Å, 60.00 60.00 60.00°
Sites, in units of the cell vectors:
Sm (0.125, 0.125, 0.125)
Sm (0.875, 0.875, 0.875)
Pt (0.000, 0.500, 0.500)
Pt (0.500, 0.000, 0.500)
Pt (0.500, 0.500, 0.000)
Pt (0.500, 0.500, 0.500)

Summary:
- Energy relative to the elements: -1.0666 eV per atom

3.
Compound: NaLa2Sc2PS5O24
Source: the Materials Project
Functional: PBE
Structure: optimized geometry

Cell: 9.051 9.052 24.298 Å, 89.93 89.86 60.20°
Sites, in units of the cell vectors:
Na (0.000, 0.000, 0.000)
Na (0.027, 0.000, 0.502)
Na (0.348, 0.348, 0.845)
La (0.006, 0.997, 0.862)
La (0.024, 0.997, 0.646)
La (0.349, 0.324, 0.679)
La (0.349, 0.342, 0.992)
La (0.691, 0.656, 0.034)
La (0.691, 0.657, 0.822)
Sc (0.014, 0.999, 0.165)
Sc (0.016, 0.998, 0.355)
Sc (0.348, 0.324, 0.481)
Sc (0.350, 0.331, 0.198)
Sc (0.676, 0.672, 0.517)
Sc (0.682, 0.665, 0.321)
P (0.355, 0.031, 0.575)
P (0.681, 0.359, 0.926)
P (0.990, 0.662, 0.926)
S (0.013, 0.711, 0.259)
S (0.027, 0.297, 0.754)
S (0.047, 0.623, 0.575)
S (0.071, 0.306, 0.101)
S (0.306, 0.995, 0.259)
S (0.317, 0.687, 0.754)
S (0.326, 0.639, 0.102)
S (0.380, 0.970, 0.926)
S (0.391, 0.671, 0.419)
S (0.640, 0.342, 0.575)
S (0.652, 0.050, 0.101)
S (0.691, 0.949, 0.419)
S (0.704, 0.007, 0.752)
S (0.729, 0.288, 0.259)
S (0.966, 0.374, 0.420)
O (0.017, 0.818, 0.933)
O (0.028, 0.796, 0.575)
O (0.032, 0.204, 0.805)
O (0.035, 0.197, 0.704)
O (0.049, 0.156, 0.111)
O (0.054, 0.789, 0.307)
O (0.109, 0.542, 0.629)
O (0.135, 0.357, 0.429)
O (0.161, 0.276, 0.048)
O (0.164, 0.542, 0.248)
O (0.165, 0.498, 0.922)
O (0.169, 0.523, 0.531)
O (0.172, 0.322, 0.146)
O (0.175, 0.809, 0.112)
O (0.179, 0.319, 0.755)
O (0.188, 0.036, 0.307)
O (0.192, 0.015, 0.575)
O (0.209, 0.986, 0.931)
O (0.217, 0.781, 0.704)
O (0.218, 0.826, 0.410)
O (0.221, 0.775, 0.805)
O (0.233, 0.954, 0.211)
O (0.292, 0.582, 0.049)
O (0.325, 0.146, 0.248)
O (0.336, 0.159, 0.529)
O (0.337, 0.514, 0.754)
O (0.344, 0.519, 0.147)
O (0.362, 0.142, 0.924)
O (0.373, 0.520, 0.429)
O (0.374, 0.096, 0.632)
O (0.461, 0.882, 0.874)
O (0.465, 0.710, 0.468)
O (0.474, 0.845, 0.272)
O (0.481, 0.652, 0.099)
O (0.482, 0.877, 0.975)
O (0.483, 0.678, 0.752)
O (0.502, 0.641, 0.370)
O (0.514, 0.858, 0.564)
O (0.527, 0.330, 0.922)
O (0.532, 0.162, 0.753)
O (0.536, 0.151, 0.146)
O (0.537, 0.324, 0.531)
O (0.539, 0.118, 0.429)
O (0.557, 0.365, 0.629)
O (0.560, 0.306, 0.248)
O (0.593, 0.142, 0.048)
O (0.659, 0.492, 0.565)
O (0.660, 0.868, 0.371)
O (0.661, 0.468, 0.978)
O (0.663, 0.883, 0.098)
O (0.688, 0.445, 0.872)
O (0.690, 0.853, 0.751)
O (0.711, 0.456, 0.272)
O (0.730, 0.836, 0.468)
O (0.791, 0.015, 0.803)
O (0.799, 0.012, 0.703)
O (0.807, 0.169, 0.307)
O (0.810, 0.184, 0.575)
O (0.825, 0.029, 0.110)
O (0.843, 0.216, 0.211)
O (0.844, 0.969, 0.410)
O (0.846, 0.186, 0.932)
O (0.854, 0.448, 0.468)
O (0.863, 0.692, 0.272)
O (0.871, 0.463, 0.751)
O (0.881, 0.634, 0.565)
O (0.886, 0.484, 0.371)
O (0.893, 0.653, 0.977)
O (0.895, 0.681, 0.872)
O (0.903, 0.462, 0.099)
O (0.970, 0.826, 0.211)
-- stop --

== Completed ==
Pt (0.000, 0.500, 0.500)
Pt (0.500, 0.000, 0.500)
Pt (0.500, 0.500, 0.000)
Pt (0.500, 0.500, 0.500)